October 14, 2008

(Someone pasted materials data at this point)
~~~
No. 1
Starting from the PBE geometry in the Materials Project, the powder diffractogram of Zr20Sn13 was calculated for a wavelength of 1.5418 Å.

Top 10 peaks for 2θ from 10° to 80°, low angle first:
2theta  d/Å  I_rel
30.23  2.956  22
31.73  2.820  15
35.26  2.546  97
36.11  2.487  77
36.88  2.437  100
46.49  1.953  26
52.57  1.741  22
57.01  1.615  23
65.41  1.427  15
74.69  1.271  13

Crystal structure
```
data_Zr20Sn13
_symmetry_space_group_name_H-M 'P 1 2/m 1'
_symmetry_Int_Tables_number 10
_cell_length_a 5.912
_cell_length_b 14.940
_cell_length_c 8.607
_cell_angle_alpha 90.00
_cell_angle_beta 90.02
_cell_angle_gamma 90.00
loop_
_symmetry_equiv_pos_as_xyz
'x,y,z'
'-x,-y,-z'
'-x,y,-z'
'x,-y,z'
loop_
_atom_site_label
_atom_site_type_symbol
_atom_site_fract_x
_atom_site_fract_y
_atom_site_fract_z
_atom_site_occupancy
Zr1 Zr 0.000 0.166 0.000 1
Zr2 Zr 0.000 0.333 0.500 1
Zr3 Zr 0.230 0.500 0.731 1
Zr4 Zr 0.231 0.363 0.135 1
Zr5 Zr 0.247 0.000 0.250 1
Zr6 Zr 0.249 0.122 0.626 1
Zr7 Zr 0.500 0.166 0.000 1
Zr8 Zr 0.500 0.333 0.500 1
Sn1 Sn 0.250 0.192 0.309 1
Sn2 Sn 0.252 0.000 0.892 1
Sn3 Sn 0.258 0.500 0.385 1
Sn4 Sn 0.259 0.302 0.803 1
Sn5 Sn 0.500 0.500 0.000 1
```

=====

No. 2
Starting from the PBE geometry in the Materials Project, the powder diffractogram of Te2S4N3Cl9 was calculated for a wavelength of 1.5418 Å.

Top 10 peaks for 2θ from 10° to 80°, low angle first:
2theta  d/Å  I_rel
10.15  8.714  100
11.87  7.456  56
16.25  5.454  93
16.43  5.396  59
17.86  4.966  45
18.44  4.811  79
18.50  4.796  52
20.37  4.359  40
24.00  3.708  41
40.42  2.231  37

Crystal structure
```
data_Te2S4N3Cl9
_symmetry_space_group_name_H-M 'P -1'
_symmetry_Int_Tables_number 2
_cell_length_a 9.514
_cell_length_b 10.261
_cell_length_c 11.508
_cell_angle_alpha 83.09
_cell_angle_beta 69.94
_cell_angle_gamma 75.64
loop_
_symmetry_equiv_pos_as_xyz
'x,y,z'
'-x,-y,-z'
loop_
_atom_site_label
_atom_site_type_symbol
_atom_site_fract_x
_atom_site_fract_y
_atom_site_fract_z
_atom_site_occupancy
Te1 Te 0.018 0.203 0.426 1
Te2 Te 0.129 0.661 0.944 1
S1 S 0.356 0.032 0.690 1
S2 S 0.436 0.004 0.844 1
S3 S 0.444 0.294 0.593 1
S4 S 0.450 0.742 0.189 1
N1 N 0.382 0.163 0.612 1
N2 N 0.486 0.678 0.309 1
N3 N 0.494 0.879 0.138 1
Cl1 Cl 0.027 0.742 0.365 1
Cl2 Cl 0.065 0.154 0.176 1
Cl3 Cl 0.112 0.853 0.047 1
Cl4 Cl 0.120 0.373 0.880 1
Cl5 Cl 0.168 0.595 0.597 1
Cl6 Cl 0.215 0.963 0.462 1
Cl7 Cl 0.234 0.304 0.346 1
Cl8 Cl 0.279 0.517 0.059 1
Cl9 Cl 0.372 0.704 0.783 1
```

=====

No. 3
Starting from the PBE geometry in the Materials Project, the powder diffractogram of KTe was calculated for a wavelength of 1.5418 Å.

Top 10 peaks for 2θ from 10° to 80°, low angle first:
2theta  d/Å  I_rel
18.33  4.839  100
22.91  3.883  16
32.03  2.794  64
33.19  2.699  78
37.16  2.420  17
46.80  1.941  29
49.86  1.829  15
57.09  1.613  13
57.84  1.594  30
76.83  1.241  13

Crystal structure
```
data_KTe
_symmetry_space_group_name_H-M 'P -6 2 m'
_symmetry_Int_Tables_number 189
~~~

Latest Addiction and Recent Reads

The past two or three months (maybe longer) I have been addicted to reading. I have always enjoyed reading a good book, but haven't been as big of a reader after getting married and having kids... until recently! I find that I get addicted to something for a while and can't stop! Where all my free time is spent doing just that, whether it's scrapbooking, going shopping(which my husband gets nervous when that addiction springs up from time to time!), baking, blogging, reading blogs or whatever it is I get addicted to at the time, I only want to do THAT and not much else... Like last year I got into making cards, and got so excited about it that I made them day in and day out for almost three months! Yet, I haven't made cards since! And even blogging, I became utterly addicted to that too, which now I don't feel the need or desire to do it as much as I did just a few short weeks ago. I think, why can't I space things out?? You know... read a little here, do a little baking there, maybe get a couple of scrapbooking pages done today... but no, I find myself just wanting to do whatever it is that I am craving at the time. So, like I said, I have become addicted to reading. As fun as it is to read, the craving to read will probably pass soon just like everything else, but I really hope it doesn't! I wish I could manage my time better to include more things. I just need more hours in a day! Don't we all though?! :)

Anyway, I thought I would share some of the books that I have read recently. I know some of you are always looking for a good book and I recommend these...

Crystal structures that have nothing to do with the article:
- - -
Starting from the GGA-PBE geometry in OQMD, the powder diffractogram of Co9Hg was calculated for Cu Kα X-rays.

Largest 6 diffraction maxima, sorted by position, 2θ from 5° to 70°:
| 2θ (°) | I/Imax |
| --- | --- |
| 5.68 | 100.0 |
| 7.57 | 24.1 |
| 13.27 | 14.8 |
| 43.72 | 28.4 |
| 44.93 | 40.4 |
| 50.99 | 26.2 |

Structure:
```
Co9Hg
1.0
2.5332 0.0000 0.0000
0.0000 2.5332 0.0000
0.0000 0.0000 46.7148
Co Hg
18 2
direct
0.2500 0.2500 0.0184
0.2500 0.2500 0.0908
0.2500 0.2500 0.1618
0.2500 0.2500 0.2338
0.2500 0.2500 0.3056
0.2500 0.2500 0.7293
0.2500 0.2500 0.8023
0.2500 0.2500 0.8747
0.2500 0.2500 0.9462
0.7500 0.7500 0.0538
0.7500 0.7500 0.1253
0.7500 0.7500 0.1977
0.7500 0.7500 0.2707
0.7500 0.7500 0.6944
0.7500 0.7500 0.7662
0.7500 0.7500 0.8382
0.7500 0.7500 0.9092
0.7500 0.7500 0.9816
0.2500 0.2500 0.6434
0.7500 0.7500 0.3566
```

----------

Entry 1:
Simulated powder X-ray diffraction pattern of Cs2BeCl6F for Cu Kα X-rays, from a structure optimized by DFT (GGA-PBE).
Kinematic intensities with the Lorentz-polarization factor, no thermal factor.

Main lines, low angle first (10 to 90 degrees two-theta):
| 2theta | I_rel | h k l |
| --- | --- | --- |
| 16.44 | 21 | 1 1 0 |
| 23.33 | 33 | 2 0 0 |
| 23.70 | 63 | 1 1 2 |
| 28.98 | 100 | 2 0 2 |
| 33.23 | 42 | 2 2 0 |
| 34.29 | 19 | 0 0 4 |
| 37.28 | 13 | 3 1 0 |
| 37.53 | 13 | 2 2 2 |
| 41.22 | 17 | 3 1 2 |
| 48.50 | 20 | 2 2 4 |
| 51.55 | 17 | 3 1 4 |
| 56.78 | 17 | 4 2 2 |

Structural model:
Cell lengths 7.6266, 7.6266, 10.4592 Å; angles 90.00, 90.00, 90.00 degrees
Space group I4/mmm (No. 139)
Asymmetric unit:
Cs 0.0000 0.5000 0.2500 x4
Be 0.0000 0.0000 0.0000 x2
Cl 0.0000 0.0000 0.3043 x4
Cl 0.1931 0.1931 0.0000 x8
F 0.0000 0.0000 0.5000 x2

***

Entry 2:
Simulated powder X-ray diffraction pattern of CsKBe2Cl6 for Cu Kα X-rays, from a structure optimized by DFT (GGA-PBE).
Kinematic intensities with the Lorentz-polarization factor, no thermal factor.

Main lines, low angle first (10 to 90 degrees two-theta):
| 2theta | I_rel | h k l |
| --- | --- | --- |
| 12.33 | 68 | 1 1 -1 |
| 16.62 | 41 | 0 2 1 |
| 20.34 | 37 | 0 0 2 |
| 20.61 | 100 | 2 2 -1 |
| 26.48 | 32 | 3 1 -2 |
| 27.50 | 45 | 1 3 -2 |
| 30.71 | 47 | 2 0 2 |
| 31.32 | 43 | 2 4 0 |
| 31.88 | 47 | 4 0 -2 |
| 31.96 | 43 | 2 2 -3 |
| 33.57 | 40 | 0 2 3 |
| 33.66 | 31 | 4 2 -1 |

Structural model:
Cell lengths 11.6211, 13.4615, 9.3922 Å; angles 90.00, 111.62, 90.00 degrees
Space group C2/c (No. 15)
Asymmetric unit:
Cs 0.0000 0.1499 0.2500 x4
K 0.0000 0.4107 0.7500 x4
Be 0.2488 0.3841 0.2874 x8
Cl 0.0911 0.3870 0.1193 x8
Cl 0.1639 0.2394 0.6537 x8
Cl 0.1917 0.0031 0.0951 x8

***

Entry 3:
Simulated powder X-ray diffraction pattern of CsLiBeCl4 for Cu Kα X-rays, from a structure optimized by DFT (GGA-PBE).
Kinematic intensities with the Lorentz-polarization factor, no thermal factor.

Main lines, low angle first (10 to 90 degrees two-theta):
| 2theta | I_rel | h k l |
| --- | --- | --- |
| 15.98 | 26 | 0 1 1 |
| 20.22 | 70 | 1 1 0 |
- - -

The Peacegiver by James E. Ferrell. I read this about two months ago and absoluetly LOVED it! Life Changing!! It's one of those books that should be read at least once a year!

The Great and Terrible- The Brothers, by Chris Stewart. It is one of 6 books I believe, and it was great! It's about a family and their struggles with the decisions that were going on in Heaven before we came to this earth and how Satan through deception was able to take 1/3 of the souls of Heaven with him. I can't wait to get my hands on the next 6 books in the series!
The Five People You Meet in Heaven, by Mitch Albom. I actually read this book a long time ago, but couldn't remember a lot of it, so I read it again. I have read a few other books by this author and have really liked them. I like the way he writes. This particular book was pretty good, not my favorite by him, but its a quick read, makes you think a lot about how important each life is on the earth and how all of us can effect each other.

Angels and Demons by Dan Brown and all I have to say is, wow! I read the Di Vinci Code a while back and loved it, and heard this one was just as good or even better. And it was! It kept me reading till early morning and late hours! Great book! I also just finished Digital Fortress yesterday which is by the same author, but I didn't like it very much at all!

I read The Writing On The Wall, by Dean Hughes. He wrote five books before this which many of you probably have heard of, Children of the Promise. These are called Hearts of the Children. I really enjoyed this book. It is the first volume of six. I just started reading volume two, Troubled Waters today and I really find myself engrossed with the characters and the story line! So far so good!

And of course the Twilight Series were really fun to read! So if you haven't read those yet, you should!


Andrea said...

I am so relieved to know I'm not the only one who becomes obsessed, yea, even addicted, to certain things and then casts them aside. I often wonder why I can't just keep a healthy balance of things in my life. It's always all or nothing for me! It is annoying. Books are almost a guilty pleasure because they are ALL I think about when I'm in the middle of one. I can't get anything done until the book is read, and then I fall into a slight depression that the story is over. Dumb. Anyway, I guess I just wanted to say I feel for ya.

Just Only Me said...

Dan Brown is always good to read, he's one of my favorite authors. R.L.Stine is another. (I had every single book back in middle/high school...OBSESSED!)
I totally want to read the 'Meet In Heaven' series books, I've heard awesome stuff about them. Glad to know that you liked it!
Wanna start a tag?

RORYJEAN said...

Thanks for telling me that your blog doesn't update now that it's private- I was wondering why you hadn't blogged in so long! I missed reading it. Also, thanks for the book recommendations- I was looking for a good book to read.

LeeAnn and Boys said...

So thanks for the invite--Your e-mail had Chirsty $#%^&# in the subject so I didn't open it thinking it was some mouthy crazy person! ha ha.
so are your ordering anything from HM? I still love my glue and paper... but My cousin (Brady Family) linked to my blog is publishing Blogs!!! That sound like the best idea of all. So check it out...Maybe we could go in on something from HM? I want a deck of cards but not for big $$$$

**Data records that have nothing to do with the text**
# CoPd2N2
Calculated powder XRD pattern, Cu Ka. Input: a PBE-relaxed structure.

Structural model:
```
data_CoPd2N2
_space_group_name_H-M_alt 'R -3 m'
_space_group_IT_number 166
_space_group_name_Hall '-R 3 2"'
_cell_length_a 2.8256
_cell_length_b 2.8256
_cell_length_c 24.6808
_cell_angle_alpha 90.00
_cell_angle_beta 90.00
_cell_angle_gamma 120.00
loop_
_atom_site_label
_atom_site_type_symbol
_atom_site_fract_x
_atom_site_fract_y
_atom_site_fract_z
Co1 Co 0.0000 0.0000 0.0000
Pd1 Pd 0.0000 0.0000 0.2130
N1 N 0.0000 0.0000 0.2921
```

Largest 10 diffraction maxima, most intense first, 2θ = 10–80°:
d (Å)  Position (°2θ)  Rel. int.  hkl
2.192  41.17  100  0 1 5
2.275  39.62  83  1 0 4
2.742  32.65  61  0 0 9
2.400  37.47  56  0 1 2
1.738  52.67  45  1 0 10
8.227  10.75  45  0 0 3
1.430  65.23  38  0 1 14
1.413  66.14  37  1 1 0
1.256  75.73  31  1 1 9
2.435  36.91  27  1 0 1
**End of the data records**

Chelsie said...

Thanks for all of the book reviews! Someone lent me Angels and Demons to read and I still hadn't started it after a few weeks. After reading your blog I decided to start it and I'm really enjoying it so far. Thanks!

Just Only Me said...

Hey Chris, I tagged you! Check out my blog for instructions. I'm excited to read about you.

Sandie said...

I too am obsessed with reading and blogging (or so my hubby tells me!!!!)
thanks for the book reviews...always like getting recommendations!

Cristi said...

the peacegiver is my favorite book!!!